Zoom Webinars
WSU Zoom webinar license allows you to create a webinar that will hold up to 500 participants. Can be created with your WSU personal Zoom account. TLT has the ability to create webinars up to 1000 participants. Some webinars can be streamed to YouTube or FaceBook. Contact TLT for more information. Department zoom rooms cannot create webinars.
Roles in a webinar
Host – can share your screen, video and audio Co-Host – can share your screen, video and audio Panelists – can share your screen, video and audio Attendees – are muted by default, cannot share screen or video
Scheduling a Webinar
Webinars can be scheduled with or without registration for your participants. Passcodes can be required. Note, if you plan to have the link and passcode listed in an advertisement, like a poster or newspaper, then it is best not to require Passcode. Webinars can also be secured by only allowing authenticated users to join or the use of a waiting room.
1. Sign in to the Zoom web portal https://minnstate.zoom.us or open the Zoom Desktop Application, click on your avatar and then select My Profile
2. Click Webinars from the left nav
3. Click Schedule a Webinar (See Figure 1)
4. Choose the appropriate webinar settings which include: (See Figure 2 & 3)
- Topic - then name of the Webinar
- Description - provide some details
- Use a Template – webinar templates
- When - Date and Time
- Duration
- Recurring – will open more selections to configure
- Registration
Registrations requires attendees to complete a brief form before receiving the link to join your webinar. This enables the host to collect the names, email addresses and more from the attendees. It is possible to automatically approve anyone who registers, or manual approve attendees.
- Require webinar Passcode - or schedule without requiring a passcode
- Video- turn on or off for Hosts and Panelists
- Audio options
- Webinar Options
- Q&A - participants ask questions during the webinar for the panelists, co-hosts and host
- Enable Practice Session - start the webinar practice session to test webinar controls
- Enable HD video for screen shared video (do not enable this if most are from the same location)
- Only authenticated users can join
- Make the webinar on-demand
- Automatically record webinar
5. Alternative Hosts - can start a webinar if host is not available, has full participant rights
Misplaced materials data =
____________
[1]
This entry pairs a crystal structure of SrCd2Te with its simulated powder diffraction line list. Radiation: a wavelength of 1.5418 Å. Structure: a structure optimized by DFT (GGA-PBE).

Principal peaks in the range 10 to 90 degrees two-theta, low angle first:
2theta, d/Å, I (rel.)
15.4, 5.760, 14
29.0, 3.076, 100
33.0, 2.714, 27
35.5, 2.530, 82
46.5, 1.954, 27
47.3, 1.920, 9
59.8, 1.546, 25
60.5, 1.529, 26
63.7, 1.461, 14
74.6, 1.272, 9
82.4, 1.170, 10
83.1, 1.162, 11

Structural model:
a b c (Å): 5.0597 5.0597 17.2805
angles (deg): 90.00 90.00 120.00
Space group R3m (No. 160, hexagonal axes)
Unique sites:
Sr 0.0000 0.0000 0.0000 (multiplicity 3)
Cd 0.0000 0.0000 0.2279 (multiplicity 3)
Cd 0.0000 0.0000 0.5382 (multiplicity 3)
Te 0.0000 0.0000 0.7704 (multiplicity 3)

[2]
This entry pairs a crystal structure of Ba4Nb3InO12 with its simulated powder diffraction line list. Radiation: a wavelength of 1.5418 Å. Structure: a structure optimized by DFT (GGA-PBE).

Principal peaks in the range 10 to 90 degrees two-theta, low angle first:
2theta, d/Å, I (rel.)
30.2, 2.960, 100
37.2, 2.417, 5
43.2, 2.093, 31
53.6, 1.709, 40
62.8, 1.480, 19
71.2, 1.324, 17
75.3, 1.262, 1
79.3, 1.208, 6
87.1, 1.119, 21

Structural model:
a b c (Å): 8.3724 8.3724 8.3724
angles (deg): 90.00 90.00 90.00
Space group Im-3m (No. 229)
Unique sites:
Ba 0.2500 0.2500 0.2500 (multiplicity 8)
Nb 0.0000 0.0000 0.5000 (multiplicity 6)
In 0.0000 0.0000 0.0000 (multiplicity 2)
O 0.0000 0.0000 0.2591 (multiplicity 12)
O 0.0000 0.2500 0.5000 (multiplicity 12)

[3]
This entry pairs a crystal structure of UO4 with its simulated powder diffraction line list. Radiation: a wavelength of 1.5418 Å. Structure: a structure optimized by DFT (GGA-PBE).

Principal peaks in the range 10 to 90 degrees two-theta, low angle first:
2theta, d/Å, I (rel.)
17.6, 5.042, 45
22.8, 3.893, 100
29.7, 3.009, 12
30.2, 2.961, 11
34.1, 2.629, 24
35.6, 2.521, 9
42.9, 2.110, 14
46.7, 1.947, 15
48.8, 1.867, 14
49.4, 1.844, 13
50.1, 1.820, 14
56.9, 1.618, 9

Structural model:
a b c (Å): 5.9211 6.0178 10.0841
angles (deg): 90.00 90.00 90.00
Space group Pbca (No. 61)
Unique sites:
U 0.0000 0.0000 0.0000 (multiplicity 4)
O 0.0235 0.0009 0.1813 (multiplicity 8)
O 0.2501 0.2500 0.4857 (multiplicity 8)

[4]
This entry pairs a crystal structure of La5Pr3Er3 with its simulated powder diffraction line list. Radiation: a wavelength of 1.5418 Å. Structure: a structure optimized by DFT (GGA-PBE).

Principal peaks in the range 10 to 90 degrees two-theta, low angle first:
2theta, d/Å, I (rel.)
23.5, 3.778, 37
25.5, 3.488, 29
26.8, 3.332, 75
27.1, 3.294, 22
29.9, 2.985, 83
31.0, 2.885, 36
32.3, 2.772, 100
35.0, 2.563, 72
40.6, 2.223, 84
47.4, 1.916, 46
61.7, 1.503, 41
63.0, 1.476, 29

Structural model:
a b c (Å): 11.5416 11.5416 3.4884
angles (deg): 90.00 90.00 120.00
Space group P-62m (No. 189)
Unique sites:
La 0.0000 0.6645 0.0000 (multiplicity 3)
La 0.3333 0.6667 0.0000 (multiplicity 2)
Pr 0.0000 0.4012 0.5000 (multiplicity 3)
____________
6. Schedule the webinar
After you schedule the webinar you can add Panelist.
Inviting Panelist(s) to a Webinar
Panelists can view and send video, screen share, annotate and make use of the whiteboard. A panelist must be assigned this role by the webinar host. The host can also disable some features for panelists, including starting video, screen share, and recording. Attendees are muted and cannot activate their camera or share their screen. (See Figure 4)
Sign into the Zoom web portal and click Webinars
1. Click the topic of the webinar and you want to add panelists to.
2. In the Invitations tab, select the Edit button in the Invite panelists section.
Inviting Attendees to a Webinar
Attendees are view-only partcipants who by default are muted but can be un-muted by the host. They cannot share their screen. Their view of the webinar is controlled by the host. Attendees can interact with the host and the panelists through the Q&A and the chat. There are three different ways to invite attendees to register: (see Figure 5)
• Copy the registration URL and share
• Click Copy the invitation to view and copy the invitation to send out to attendees, Panelists and Alternative Hosts
• Click Email me the invitation to receive a copy of the invitation that you can forward to potential attendees.
Panelists will receive an email inviting them to the webinar, but it is not a meeting invitation, it is just an email message. It is best practice to also send Panelists a meeting invitation for them to put on their calendars. You can use the link in (Figure 5) that has the link you can Copy Invitation to use in your meeting invitation.
Send an Outlook Meeting Invitation to all Attendees, Panelist and Alternative Hosts. You will not use the Scheduling Assistant for this meeting invitation.
If you have selected to "schedule a practice session", then you will want to send out an additional Outlook meeting invitation to the panelists and whoever needs to test out the webinar settings for this session. This is typically done right before the meeting, but can be scheduled anytime before the actual webinar starts.
Starting a webinar
There are three different ways to start a webinar:
1) Sign in to the Zoom web portal and click Webinars. Find appropriate webinar and click Start.
2) In the Zoom client, click the Meetings tab. Find the appropriate webinar and click Start.
3) If you have added this to your calendar, click on the link displayed on your calendar reminder. Make sure that you are logged into your Zoom account before clicking the link.
Managing Participants
The Participants option in your webinar toolbar at the bottom of your screen manages the panelists and attendees in your webinar. Options include promoting to co-host or panelist, demoting panelists to attendee, un-muting participants, stopping video of panelists.
Hover over the panelist name and click More. (See Figure 7)
Click on the Attendees tab, hover over the attendee’s name, and click More. (see Figure 8)
Features running a Zoom webinar
Screen Sharing - Only the host, co-host and panelist can share their screen during a webinar.
Polling for Webinars - Polling allows a host to create a single choice or multiple choice polling questions for a webinar. Hosts can create these polls prior to the webinar, or during, and choose when to launch the poll during the webinar. You can have up to 25 polls during a webinar.
Raise Hand in Webinar - This feature allows attendees to click a option for raising their hand to indicate they need something from the host or panelist. Hosts have the ability to Lower the hand and not address the attendee.
Question & Answers (Q&A) - The host can set up either anonymous questions or allow attendees to view either all questions or only answered questions.
Enable a Co-Host - This feature can be useful when holding a large webinar.
Recording - Can record to the cloud or locally. If recording to the cloud, the webinar will first be saved to Zoom cloud and then automatically saved to MediaSpace. This will take 24 hours to complete. Recordings will go to the Host's account.
Start a Practice Session
If you have checked to Enable Practice Session when you created the webinar, then if you start the webinar you will go into the Practice Session. Only Hosts and Panelists will be allowed to join. After you have completed your practice session, you can just leave the webinar and start it later of select to Broadcast the event to start the webinar.
Tips for running your webinar:
- Have a one or two people as Host, Co-Host or Alternative Host to manage the webinar. These are not presenters. They can upgrade attendees if needed and answer technical problems attendees may have.
- Schedule a practice session for panelists to have a chance to get comfortable with the flow, content of the meeting, and the technology. This is an option within your scheduled webinar.
- Use registration if you need to secure attendance.
- Use visuals to keep participants interested. Consider Whiteboards and/or Annotation.
For a complete listing of topics, select the Zoom category from the list below.